A Cruise on the world’s largest cruise ship
Before we embark the newest vessel of Royal Caribbean Cruise Line (zum deutschen Blog) , the Harmony of the Seas in Barcelona, we leave our AirBnB that is located right at the Plaza Real, next to the Ramblas. We walk down to the Columbus Statue, where nearby the shuttle bus to the harbour starts.( Write me a note if you need further directions right under this blog !)

I have made quite a few cruises with Royal Caribbean, but never was the embarkation process easier. We had to transmit our photos in advance and so one of the agents with a tablet computer only needs to scan our documents and that’s it. The sea pass cards lay in our stateroom.

We arrive on deck 5 and I feel like being in a kind of shopping mall. First I see a huge silver head that can turn around in different Segments; then many shops and restaurants. Above I get a glimps of the „Central Park“, a kind of garden with thousands of plants. That’s located on the eights deck.

It’s so much to see and do that I will describe only the things which are outstanding or different to the facilities on other ships.

I can’t watch all offered shows, but I do make it to „The Fine Line“, an acrobatic dancing, music and water show, where the artists really jump from high up into a really small pool. Amazing! And I am happy that I made an online reservation for this show and all the others long ago, as they are often fully booked. For this reservation I am most glad, as the other water shows are postponed due to technical problems.

That happens all the time on brand new ships and I am positiv surprised that only few and minor things do not work properly.
The headliner show with the “5 Tenors of Rock” is as outstanding as the musical „Grease“ and the „Comedy Show“. Even it is good to have a reservation it’ s still free of charge. There are some more shows we have not the time to watch during our five days cruise like the ice skating show and some of them are for an additional fee.

We test the “Bionic Bar” where two robotic arms mix the drinks while they play rock music. The “Tide Bar” offers drinks while you sit in a kind of ship that goes slowly up and down between deck 5 and 8.

I am doing the Zip Line (watch the video) on deck 15 that transports the brave participants over the open space of the Boardwalk with the caroussel on deck 6. Very nice but too short! „TheAbyss“, the two slides where you sit in a kind of bag goes from Deck 16 to 6 and is my favourite! It’s fast and disco like lit inside. It ends in front of the “AquaTheater”.

The water slides are really fast as well and the water is warm, so that even I who hates cold water am happy to do it several times.
My favourite spot to sit back and relax is always the Solarium on the Royal Caribbean ships and it is no different here. It’s mostly quiet and not crowded and having breakfast here outside on the terrace in the sun is pure holiday feeling.

As I am not the sportive type, I don’t visit the huge fitness area but my husband and I do some lapses on the jogging track outside on deck 5. One lapse is about 600 m. And minigolf is always open… Isn’t that sport enough?

Do I need to mention the wonderful food that is available in all these many restaurants? I don’t think so, as this is what everybody expects.
For coffee junkies like myself even a Starbucks is on board.

**Attached: calculated molecules:**
'''
1.
Formula: C26H76N4O12
Source: OMol25
Level of theory: ωB97M-V with the def2-TZVPD basis set

Structure (XYZ):
```
118
Properties=species:S:1:pos:R:3:forces:R:3
C -0.091646 5.019425 0.963550 0.463 1.467 -0.038
O -0.729330 4.681518 2.178592 -0.144 -0.300 0.427
H -0.677611 5.730454 0.396377 -0.401 0.104 -0.241
H 0.136775 4.192470 0.321185 -0.269 -0.785 0.249
H 0.848390 5.526325 1.158690 0.418 0.050 0.100
H -0.792872 5.469023 2.740881 -0.081 -0.210 -0.431
C -1.231150 -1.918390 2.801384 -0.883 1.048 0.183
O -1.220666 -2.623603 1.635275 -0.321 -1.563 -1.067
H -0.900796 -2.423517 3.655396 0.283 -1.305 1.393
H -2.254208 -1.573191 2.922192 -0.089 0.116 0.469
H -0.614332 -1.070609 2.719560 0.878 1.536 -0.072
H -0.499825 -3.229840 1.528385 0.936 -0.398 0.369
C -3.056892 0.212068 -4.176222 3.066 0.051 -0.594
O -3.915172 -0.116718 -3.167329 -4.049 0.596 -1.264
H -2.691970 -0.723142 -4.670703 0.168 0.849 0.331
H -2.222084 0.767081 -3.630405 -0.707 -0.750 -1.314
H -3.512207 0.826286 -4.945844 -0.073 0.405 -0.001
H -4.814572 -0.251369 -3.596109 1.455 0.104 1.208
C -2.833650 -1.716308 -0.783243 8.123 4.669 -4.684
O -1.854351 -1.548798 -1.725036 -2.884 -2.695 4.041
N -4.024526 -1.410132 -1.028979 -12.604 -4.017 -10.408
N -2.954597 -1.158139 0.395587 8.661 1.247 9.250
H -4.428167 -2.359075 -1.436182 -0.164 1.617 -0.011
H -3.923860 -0.884299 -2.009498 -0.412 -1.425 1.939
H -2.460664 -1.845432 1.004901 -0.514 0.436 0.268
H -2.058189 -0.463357 0.409981 -2.042 -1.586 0.272
C 1.675921 2.077496 2.966535 -5.339 -3.105 -1.726
O 0.606038 1.385770 2.424580 5.215 3.285 2.049
N 2.825348 1.513769 3.284754 1.103 -2.057 0.829
N 1.611009 3.356851 3.294191 -0.447 2.838 0.917
H 2.874732 0.463462 3.156368 0.164 1.601 0.243
H 3.296557 1.950816 4.081337 0.032 -0.505 -0.697
H 0.778703 3.889416 3.047369 -0.086 -0.452 0.077
H 2.230303 3.817019 4.000923 -0.692 -1.021 -1.312
C 0.759744 1.811485 -0.791396 1.020 2.610 0.771
C -0.103048 0.620244 -0.724193 5.699 -1.907 -5.870
C 0.700058 -0.575434 -0.270963 2.361 -2.089 -1.436
O -0.983692 0.629103 0.157852 -7.143 2.943 6.053
H 1.607590 1.723088 -1.458720 -0.010 -0.285 -0.055
H 1.150861 2.120318 0.206874 -0.090 -0.484 -0.532
H 0.196744 2.682568 -1.136753 -0.154 -0.086 -0.143
H -0.549708 0.613797 -1.743633 0.155 -1.064 0.361
H 1.693651 -0.637180 -0.765844 -0.534 -0.436 -0.103
H 0.165469 -1.548081 -0.277144 0.108 0.774 -0.637
H 0.952482 -0.483370 0.774937 -0.093 0.728 0.544
H -0.616632 1.115832 0.908202 -0.250 -0.035 0.861
C -2.444711 1.517555 2.931409 -1.530 -0.278 0.546
C -3.895795 1.550022 2.388868 0.154 1.403 8.306
C -4.561520 2.899916 2.564295 1.987 1.290 -0.444
O -4.065593 1.195612 1.200116 -0.365 -2.145 -7.230
H -2.435520 1.314618 4.007612 0.025 -0.286 -0.150
H -1.921821 2.414288 2.820701 0.848 1.637 -0.524
H -1.947432 0.769091 2.375570 0.613 -0.936 -0.124
H -4.412763 0.824215 3.062406 -0.111 0.233 -0.148
H -4.833581 3.149355 3.532797 0.295 0.690 2.316
H -5.493139 2.968937 2.117252 -2.012 -0.517 -1.458
'''
**The calculated molecules stop here:**

For two medical problems a helicopter lands on the special platform in the front of the Harmony of the Seas, personal safety is absolute important here.

At no time I have the feeling to be on a ship with around 8000 other people, including the crew. There is so much space and so many options for entertainment.
I don’t think that I have explored all available things on these 17 decks of the Harmony of the Seas, but I did my very best! So if you got a questions just give me a note under this blog and I will try to give you an answer as soon as possible.

You want to read more or see more pictures?! Just give me a „like“ on my facebook or instagram site. For more pictures go to my German Blog!

You mentioned that you stayed in a convenient AirB&Bin Barcelona. Could you please send me more information
Hi Roberta,
as it seems, they do not rent out their rooms anymore. It was at Placa Reial.
Good luck and have a nice stay in Barcelona.
Best regards